### Job
The reader should work out how many lines further down have the word "intensity" in them; a number is enough.

### Contents
┌──
Computed powder X-ray diffraction pattern
Compound: Nd2Zn16Ag
Radiation: Cu Kα
Structure: a crystal structure in Alexandria, relaxed with PBE
Lines closer than 0.1° are merged.

Structure:
Cell lengths 6.869, 6.869, 6.869 Å; angles 82.73, 82.73, 82.73 degrees
Element x y z (fractional)
Nd  0.000  0.000  0.000
Nd  0.325  0.325  0.325
Zn  0.014  0.014  0.501
Zn  0.014  0.501  0.014
Zn  0.164  0.662  0.662
Zn  0.310  0.310  0.825
Zn  0.310  0.825  0.310
Zn  0.369  0.663  0.956
Zn  0.369  0.956  0.663
Zn  0.501  0.014  0.014
Zn  0.558  0.558  0.558
Zn  0.662  0.164  0.662
Zn  0.662  0.662  0.164
Zn  0.663  0.369  0.956
Zn  0.663  0.956  0.369
Zn  0.825  0.310  0.310
Zn  0.956  0.369  0.663
Zn  0.956  0.663  0.369
Ag  0.760  0.760  0.760

Top 6 peaks for 10° ≤ 2θ ≤ 90°, most intense first:
39.95 deg, intensity 100
39.71 deg, intensity 70
40.66 deg, intensity 53
34.22 deg, intensity 45
44.85 deg, intensity 37
35.33 deg, intensity 32

Computed powder X-ray diffraction pattern
Compound: K2SiSnSe4
Radiation: Cu Kα
Structure: a crystal structure in Alexandria, relaxed with PBE
Lines closer than 0.1° are merged.

Structure:
Cell lengths 8.627, 8.627, 8.627 Å; angles 124.05, 117.49, 88.77 degrees
Element x y z (fractional)
K  0.000  0.000  0.000
K  0.500  0.000  0.000
K  0.500  0.000  0.500
K  0.500  0.500  0.500
Si  0.000  0.000  0.500
Si  0.000  0.500  0.000
Sn  0.000  0.500  0.500
Sn  0.500  0.500  0.000
Se  0.191  0.746  0.445
Se  0.197  0.206  0.508
Se  0.197  0.689  0.992
Se  0.199  0.254  0.945
Se  0.801  0.746  0.055
Se  0.803  0.311  0.008
Se  0.803  0.794  0.492
Se  0.809  0.254  0.555

Top 6 peaks for 10° ≤ 2θ ≤ 90°, most intense first:
29.76 deg, intensity 100
42.01 deg, intensity 45
28.97 deg, intensity 38
12.22 deg, intensity 28
32.62 deg, intensity 23
13.08 deg, intensity 20

=====

# 1
# MgMn2B8O14
Theoretical powder diffraction line list, Cu Kα. Input: a cell relaxed with GGA+U.
Intensities are scaled so that the largest is 100.

Principal peaks in the range 2θ from 10° to 80°, sorted by position:
2θ/deg	I/Imax
10.2	100
19.2	6
20.5	23
22.3	8
28.6	8
31.0	8
33.2	9
35.8	7
41.7	6
47.6	11

Structure:
a b c (Å): 6.399 5.156 8.870
angles (deg): 90.00 102.53 90.00
Sites, in units of the cell vectors:
Mg 0.000 0.000 0.000
Mn 0.160 0.000 0.332
Mn 0.636 0.500 0.734
B 0.059 0.500 0.442
B 0.150 0.265 0.695
B 0.150 0.735 0.695
B 0.366 0.500 0.322
B 0.485 0.000 0.795
B 0.698 0.239 0.411
B 0.698 0.761 0.411
B 0.791 0.000 0.667
O 0.038 0.000 0.734
O 0.068 0.500 0.754
O 0.136 0.269 0.531
O 0.136 0.731 0.531
O 0.144 0.500 0.300
O 0.383 0.232 0.778
O 0.383 0.768 0.778
O 0.470 0.268 0.337
O 0.470 0.732 0.337
O 0.711 0.000 0.821
O 0.715 0.228 0.583
O 0.715 0.772 0.583
O 0.784 0.000 0.360
O 0.814 0.500 0.386


# 2
# MgMn2B8O14
Theoretical powder diffraction line list, Cu Kα. Input: a cell relaxed with GGA+U.
Intensities are scaled so that the largest is 100.

Principal peaks in the range 2θ from 10° to 80°, sorted by position:
2θ/deg	I/Imax
12.2	42
20.3	11
24.4	68
27.4	100
32.0	10
41.6	11
44.6	45
47.1	11
51.7	25
53.4	10

Structure:
a b c (Å): 7.353 7.353 5.046
angles (deg): 97.84 97.84 88.80
Sites, in units of the cell vectors:
Mg 0.000 0.000 0.000
Mn 0.311 0.311 0.177
Mn 0.689 0.689 0.823
B 0.228 0.459 0.679
B 0.241 0.759 0.500
B 0.253 0.747 0.000
B 0.459 0.228 0.679
B 0.541 0.772 0.321
B 0.747 0.253 0.000
B 0.759 0.241 0.500
B 0.772 0.541 0.321
O 0.166 0.822 0.239
O 0.178 0.834 0.761
O 0.213 0.552 0.462
O 0.229 0.539 0.937
O 0.270 0.270 0.630
O 0.448 0.787 0.538
O 0.461 0.771 0.063
O 0.539 0.229 0.937
O 0.552 0.213 0.462
O 0.730 0.730 0.370
O 0.771 0.461 0.063
O 0.787 0.448 0.538
O 0.822 0.166 0.239
O 0.834 0.178 0.761


# 3
# MgMn2B8O14
Theoretical powder diffraction line list, Cu Kα. Input: a cell relaxed with GGA+U.
Intensities are scaled so that the largest is 100.

Principal peaks in the range 2θ from 10° to 80°, sorted by position:
2θ/deg	I/Imax
30.0	82
32.1	100
37.5	31
37.9	52
42.9	33
45.6	56
46.1	26
47.6	62
48.9	41
53.0	40
└──

### Written answer
12